[Excerpt]
~~~
C52H66N2O3P2PbS5Si | ωB97M-V/def2-TZVPD

The geometry in ORCA input format:
```
! RIJCOSX wB97M-V def2-TZVPD def2/J DEFGRID3
* xyz 0 1
N -1.44031 -1.41352 -2.75183
H 3.90999 -1.76190 0.45437
H -3.97860 -2.21719 -2.81730
H 0.36299 -2.47912 4.71958
H 5.16284 -0.61428 -3.35049
C -1.09861 3.20979 -0.83735
H 4.61223 1.51126 -4.54765
H 3.22839 5.34962 0.03323
C 1.90908 -2.24124 1.08604
C 3.36184 -2.63256 0.82574
C -2.08979 0.57526 4.76430
H 4.30610 1.61478 -2.81574
H 3.56613 -4.06676 2.42095
C -5.99110 -6.08369 -1.17402
H 3.30036 -1.96352 -2.39879
C -2.26160 -0.49357 3.68604
H -1.24570 -2.17663 2.84288
H -2.19156 -1.44002 -5.36408
H 3.47724 3.52651 -2.39047
C -5.11214 -4.31017 1.69611
C -4.81496 -5.30033 -1.67012
C -3.07519 2.50123 1.40682
C -0.12862 2.94052 -1.80940
C -0.53336 -1.87574 4.81749
P 1.08751 1.63091 -1.38440
C 3.97567 1.13824 -3.74010
H 5.58075 3.65654 -0.92635
C 4.96530 4.09085 -0.13480
C 2.90335 3.93699 -1.56212
S -3.41295 -4.65407 1.34275
H 5.60057 4.76736 0.44037
H 2.45793 -0.33666 1.89802
C -3.55597 -5.89128 -1.73129
H 4.19919 5.64939 -1.41638
C -0.34387 -0.80811 5.88602
H 3.86931 3.41663 1.59406
C -2.96942 -3.04556 0.79037
Pb -1.39384 -0.35771 -0.58945
C -1.00693 4.73296 -3.16705
H 4.43422 -1.18121 2.91305
H -2.41575 -0.72926 6.44896
C 2.38394 2.81565 -0.67034
H 0.50359 1.01831 -3.56208
C 3.17838 -0.88827 -2.52921
H 1.46620 -1.86111 0.16255
C 1.49250 0.91511 -3.08858
S -5.54145 -2.64397 1.33830
C -3.96073 -2.12322 0.77564
H 1.05628 -1.00644 -2.18098
H -3.03672 1.10221 4.90714
H -1.33594 -2.54716 5.14171
H 2.33101 -1.17181 4.33521
H 1.51271 -1.09582 -3.86281
H 4.38583 -2.46621 4.12519
H 2.28615 1.14853 -5.04102
H -1.46921 -5.58971 -2.17739
O -1.13566 -3.12685 -4.60308
H -0.02264 -1.28019 6.81836
H -0.97874 5.31181 -4.07853
C 4.43528 2.97869 0.76669
H 1.33721 -3.12429 1.37549
O -0.02376 -3.40857 -2.43620
C 2.52940 1.52319 -4.04173
C 3.53019 2.03975 -0.02707
O -5.87915 -5.11981 2.13320
H 0.43826 -0.11607 5.57602
C -3.26603 1.69527 -4.65000
H -3.44487 -6.92894 -1.44800
C -3.86369 -3.24512 -2.50387
C -2.45749 -5.16229 -2.15204
H 2.47693 3.08692 4.91885
H 1.98112 0.77665 4.31604
C -2.40575 -0.53416 -4.82393
C 4.04027 -3.13804 2.09677
C -0.98557 -1.31149 3.47100
C 2.44067 -1.80859 3.45825
C -3.01440 0.54742 -5.40594
H 2.44516 2.61180 -4.07821
H 4.12446 1.53955 -0.79246
S -3.89707 -0.50917 0.15160
C 0.26204 3.65050 2.44024
C -0.03904 2.33545 2.09184
H -3.06117 -1.17597 3.98570
C 1.47571 1.57229 3.79286
H -6.92428 -5.64459 -1.51404
H 5.27059 2.41411 1.18951
H -0.19765 4.46386 1.89681
H 1.95052 -2.76082 3.65861
H 2.06627 4.50948 -1.96790
C -2.87901 1.69235 -3.32867
H -1.50417 0.73694 6.83837
H -3.30755 0.51017 -6.44532
H -1.33841 1.30057 4.44187
H -2.73907 4.47783 -0.29487
H -3.82926 2.33433 0.64168
H -3.74696 2.55836 -5.08318
C -4.95379 -3.97031 -2.04946
C 1.83425 -1.19342 2.19838
P 0.11602 -0.42268 2.21965
H 3.89072 -0.85331 -4.55348
C 1.76648 2.88031 4.13201
C 3.80964 4.86855 -0.75796
H 0.59651 3.47394 -3.75842
N -2.28198 0.65947 -2.74598
C -0.11225 3.69352 -2.97748
H -6.00634 -6.09140 -0.08565
H -3.32183 1.86452 2.24996
C 4.12834 -0.37126 -3.60226
C 0.54482 1.27883 2.80149
Si -1.33132 2.13812 0.71004
H -2.56601 -0.03300 2.74348
C 1.14670 3.92578 3.46560
C -1.64468 -0.04433 6.08779
H 3.39424 -0.39750 -1.57626
H 1.81045 3.27950 0.14788
C 1.74179 -0.58835 -2.92361
H -2.63573 5.83855 -2.32258
H -3.14589 3.53191 1.74994
C -1.99086 4.26053 -1.03917
H 3.38790 -3.40396 0.05504
C -1.93673 5.02875 -2.18593
S -1.30325 -2.82995 0.37004
H 1.36568 4.94719 3.73636
C -2.04346 -0.45783 -3.46452
H -3.05172 2.55276 -2.69509
C 3.91859 -2.09945 3.20733
S -1.18002 -2.96865 -3.16803
H 3.12090 1.27329 0.63640
C -2.62114 -3.84753 -2.54757
H 5.09153 -3.35489 1.89808
H -5.93551 -7.11703 -1.50573
H -5.92808 -3.50383 -1.99636
*
```

Output
orbital gap = 5.10 eV
electronic energy = -149999.8151 eV
largest force on an atom = 1.62 eV Å⁻¹



C52H66N6O5PS4ScSeTe | ωB97M-V/def2-TZVPD

The geometry in ORCA input format:
```
~~~
[Wanted]
What is needed: give back all of the block earlier on with every line break kept.
[Done]
C52H66N2O3P2PbS5Si | ωB97M-V/def2-TZVPD

The geometry in ORCA input format:
```
! RIJCOSX wB97M-V def2-TZVPD def2/J DEFGRID3
* xyz 0 1
N -1.44031 -1.41352 -2.75183
H 3.90999 -1.76190 0.45437
H -3.97860 -2.21719 -2.81730
H 0.36299 -2.47912 4.71958
H 5.16284 -0.61428 -3.35049
C -1.09861 3.20979 -0.83735
H 4.61223 1.51126 -4.54765
H 3.22839 5.34962 0.03323
C 1.90908 -2.24124 1.08604
C 3.36184 -2.63256 0.82574
C -2.08979 0.57526 4.76430
H 4.30610 1.61478 -2.81574
H 3.56613 -4.06676 2.42095
C -5.99110 -6.08369 -1.17402
H 3.30036 -1.96352 -2.39879
C -2.26160 -0.49357 3.68604
H -1.24570 -2.17663 2.84288
H -2.19156 -1.44002 -5.36408
H 3.47724 3.52651 -2.39047
C -5.11214 -4.31017 1.69611
C -4.81496 -5.30033 -1.67012
C -3.07519 2.50123 1.40682
C -0.12862 2.94052 -1.80940
C -0.53336 -1.87574 4.81749
P 1.08751 1.63091 -1.38440
C 3.97567 1.13824 -3.74010
H 5.58075 3.65654 -0.92635
C 4.96530 4.09085 -0.13480
C 2.90335 3.93699 -1.56212
S -3.41295 -4.65407 1.34275
H 5.60057 4.76736 0.44037
H 2.45793 -0.33666 1.89802
C -3.55597 -5.89128 -1.73129
H 4.19919 5.64939 -1.41638
C -0.34387 -0.80811 5.88602
H 3.86931 3.41663 1.59406
C -2.96942 -3.04556 0.79037
Pb -1.39384 -0.35771 -0.58945
C -1.00693 4.73296 -3.16705
H 4.43422 -1.18121 2.91305
H -2.41575 -0.72926 6.44896
C 2.38394 2.81565 -0.67034
H 0.50359 1.01831 -3.56208
C 3.17838 -0.88827 -2.52921
H 1.46620 -1.86111 0.16255
C 1.49250 0.91511 -3.08858
S -5.54145 -2.64397 1.33830
C -3.96073 -2.12322 0.77564
H 1.05628 -1.00644 -2.18098
H -3.03672 1.10221 4.90714
H -1.33594 -2.54716 5.14171
H 2.33101 -1.17181 4.33521
H 1.51271 -1.09582 -3.86281
H 4.38583 -2.46621 4.12519
H 2.28615 1.14853 -5.04102
H -1.46921 -5.58971 -2.17739
O -1.13566 -3.12685 -4.60308
H -0.02264 -1.28019 6.81836
H -0.97874 5.31181 -4.07853
C 4.43528 2.97869 0.76669
H 1.33721 -3.12429 1.37549
O -0.02376 -3.40857 -2.43620
C 2.52940 1.52319 -4.04173
C 3.53019 2.03975 -0.02707
O -5.87915 -5.11981 2.13320
H 0.43826 -0.11607 5.57602
C -3.26603 1.69527 -4.65000
H -3.44487 -6.92894 -1.44800
C -3.86369 -3.24512 -2.50387
C -2.45749 -5.16229 -2.15204
H 2.47693 3.08692 4.91885
H 1.98112 0.77665 4.31604
C -2.40575 -0.53416 -4.82393
C 4.04027 -3.13804 2.09677
C -0.98557 -1.31149 3.47100
C 2.44067 -1.80859 3.45825
C -3.01440 0.54742 -5.40594
H 2.44516 2.61180 -4.07821
H 4.12446 1.53955 -0.79246
S -3.89707 -0.50917 0.15160
C 0.26204 3.65050 2.44024
C -0.03904 2.33545 2.09184
H -3.06117 -1.17597 3.98570
C 1.47571 1.57229 3.79286
H -6.92428 -5.64459 -1.51404
H 5.27059 2.41411 1.18951
H -0.19765 4.46386 1.89681
H 1.95052 -2.76082 3.65861
H 2.06627 4.50948 -1.96790
C -2.87901 1.69235 -3.32867
H -1.50417 0.73694 6.83837
H -3.30755 0.51017 -6.44532
H -1.33841 1.30057 4.44187
H -2.73907 4.47783 -0.29487
H -3.82926 2.33433 0.64168
H -3.74696 2.55836 -5.08318
C -4.95379 -3.97031 -2.04946
C 1.83425 -1.19342 2.19838
P 0.11602 -0.42268 2.21965
H 3.89072 -0.85331 -4.55348
C 1.76648 2.88031 4.13201
C 3.80964 4.86855 -0.75796
H 0.59651 3.47394 -3.75842
N -2.28198 0.65947 -2.74598
C -0.11225 3.69352 -2.97748
H -6.00634 -6.09140 -0.08565
H -3.32183 1.86452 2.24996
C 4.12834 -0.37126 -3.60226
C 0.54482 1.27883 2.80149
Si -1.33132 2.13812 0.71004
H -2.56601 -0.03300 2.74348
C 1.14670 3.92578 3.46560
C -1.64468 -0.04433 6.08779
H 3.39424 -0.39750 -1.57626
H 1.81045 3.27950 0.14788
C 1.74179 -0.58835 -2.92361
H -2.63573 5.83855 -2.32258
H -3.14589 3.53191 1.74994
C -1.99086 4.26053 -1.03917
H 3.38790 -3.40396 0.05504
C -1.93673 5.02875 -2.18593
S -1.30325 -2.82995 0.37004
H 1.36568 4.94719 3.73636
C -2.04346 -0.45783 -3.46452
H -3.05172 2.55276 -2.69509
C 3.91859 -2.09945 3.20733
S -1.18002 -2.96865 -3.16803
H 3.12090 1.27329 0.63640
C -2.62114 -3.84753 -2.54757
H 5.09153 -3.35489 1.89808
H -5.93551 -7.11703 -1.50573
H -5.92808 -3.50383 -1.99636
*
```

Output
orbital gap = 5.10 eV
electronic energy = -149999.8151 eV
largest force on an atom = 1.62 eV Å⁻¹



C52H66N6O5PS4ScSeTe | ωB97M-V/def2-TZVPD

The geometry in ORCA input format:
```